[Entries]
********
No. 1
Here is a relaxed SmMgNi2H6 crystal from Alexandria via LeMat-Bulk. Energies are from GGA-PBE.

abc: 5.802 5.802 5.802
angles: 44.80 44.80 44.80
Positions (direct):
Sm 0.000 0.000 0.000
Mg 0.500 0.500 0.500
Ni 0.210 0.210 0.210
Ni 0.790 0.790 0.790
H 0.061 0.568 0.568
H 0.432 0.432 0.939
H 0.432 0.939 0.432
H 0.568 0.061 0.568
H 0.568 0.568 0.061
H 0.939 0.432 0.432

## Properties
The calculation puts the total DFT energy (no corrections) at -4.09 eV/atom.

No. 2
Here is a relaxed Mg2NiSnH crystal from Alexandria via LeMat-Bulk. Energies are from GGA-PBE.

abc: 4.437 4.437 3.798
angles: 90.00 90.00 90.00
Positions (direct):
Mg 0.000 0.500 0.000
Mg 0.500 0.000 0.000
Ni 0.000 0.000 0.500
Sn 0.500 0.500 0.500
H 0.000 0.000 0.000

## Properties
The calculation puts the total DFT energy (no corrections) at -3.34 eV/atom.

No. 3
Here is a relaxed Sr2MgNiH6 crystal from Alexandria via LeMat-Bulk. Energies are from GGA-PBE.

abc: 5.439 5.439 4.819
angles: 90.00 90.00 120.00
Positions (direct):
Sr 0.333 0.667 0.295
Sr 0.667 0.333 0.705
Mg 0.000 0.000 0.000
Ni 0.000 0.000 0.500
H 0.155 0.310 0.716
H 0.155 0.845 0.716
H 0.310 0.155 0.284
H 0.690 0.845 0.716
H 0.845 0.155 0.284
H 0.845 0.690 0.284

## Properties
The calculation puts the total DFT energy (no corrections) at -3.39 eV/atom.

No. 4
Here is a relaxed SrMgNi2H8 crystal from Alexandria via LeMat-Bulk. Energies are from GGA-PBE.

abc: 6.290 6.290 6.290
angles: 43.75 43.75 43.75
Positions (direct):
Sr 0.000 0.000 0.000
Mg 0.500 0.500 0.500
Ni 0.197 0.197 0.197
Ni 0.803 0.803 0.803
H 0.093 0.850 0.413
H 0.150 0.587 0.907
H 0.290 0.290 0.290
H 0.413 0.093 0.850
H 0.587 0.907 0.150
H 0.710 0.710 0.710
H 0.850 0.413 0.093
H 0.907 0.150 0.587

## Properties
The calculation puts the total DFT energy (no corrections) at -3.59 eV/atom.

No. 5
Here is a relaxed Sr2MgNi3H12 crystal from Alexandria via LeMat-Bulk. Energies are from GGA-PBE.

abc: 6.023 6.023 6.023
angles: 61.80 61.80 61.80
Positions (direct):
Sr 0.117 0.117 0.117
Sr 0.883 0.883 0.883
Mg 0.500 0.500 0.500
Ni 0.000 0.500 0.500
Ni 0.500 0.000 0.500
Ni 0.500 0.500 0.000
H 0.113 0.608 0.608
H 0.196 0.196 0.598
H 0.196 0.598 0.196
H 0.392 0.392 0.887
H 0.392 0.887 0.392
H 0.402 0.804 0.804
H 0.598 0.196 0.196
H 0.608 0.113 0.608
H 0.608 0.608 0.113
H 0.804 0.402 0.804
H 0.804 0.804 0.402
H 0.887 0.392 0.392

## Properties
The calculation puts the total DFT energy (no corrections) at -3.73 eV/atom.

No. 6
Here is a relaxed SrMgNiH4 crystal from Alexandria via LeMat-Bulk. Energies are from GGA-PBE.

abc: 6.904 6.904 6.904
angles: 90.00 90.00 90.00
Positions (direct):
Sr 0.163 0.337 0.663
Sr 0.337 0.663 0.163
Sr 0.663 0.163 0.337
Sr 0.837 0.837 0.837
Mg 0.153 0.153 0.153
Mg 0.347 0.847 0.653
Mg 0.653 0.347 0.847
Mg 0.847 0.653 0.347
Ni 0.060 0.940 0.440
Ni 0.440 0.060 0.940
Ni 0.560 0.560 0.560
Ni 0.940 0.440 0.060
H 0.041 0.419 0.268
H 0.074 0.574 0.926
H 0.081 0.732 0.541
H 0.232 0.959 0.919
H 0.268 0.041 0.419
H 0.419 0.268 0.041
H 0.426 0.426 0.426
H 0.459 0.581 0.768
H 0.541 0.081 0.732
H 0.574 0.926 0.074
H 0.581 0.768 0.459
H 0.732 0.541 0.081
H 0.768 0.459 0.581
H 0.919 0.232 0.959
H 0.926 0.074 0.574
H 0.959 0.919 0.232

## Properties
The calculation puts the total DFT energy (no corrections) at -3.65 eV/atom.

No. 7
Here is a relaxed MgTcNi2H crystal from Alexandria via LeMat-Bulk. Energies are from GGA-PBE.

abc: 4.367 4.367 4.862
angles: 90.00 90.00 90.00
Positions (direct):
Mg 0.000 0.000 0.000
Tc 0.000 0.000 0.500
Ni 0.000 0.500 0.000
Ni 0.500 0.000 0.000
H 0.500 0.500 0.500

## Properties
The calculation puts the total DFT energy (no corrections) at -3.32 eV/atom.

No. 8
Here is a relaxed ThMgNi2H6 crystal from Alexandria via LeMat-Bulk. Energies are from GGA-PBE.

abc: 5.839 5.839 5.839
angles: 44.65 44.65 44.65
Positions (direct):
Th 0.000 0.000 0.000
Mg 0.500 0.500 0.500
Ni 0.211 0.211 0.211
Ni 0.789 0.789 0.789
H 0.068 0.563 0.563
H 0.437 0.437 0.932
H 0.437 0.932 0.437
H 0.563 0.068 0.563
********

[Wanted]
Could you say how many lines of the contents above hold the word "Sr2MgNi3H12", as a bare number?

[Completed]
1